### Work order
Restate the notes further down from the line with "0.753" to the end character by character.
### Source
+++
[1]
DFT (GGA-PBEsol) results for an optimized crystal structure of ReAg2Os.

Unit cell a=2.637 b=4.449 c=5.207 alpha=90.00 beta=90.00 gamma=90.00
Element x y z (fractional)
1 Re 0.000 0.000 0.000
2 Ag 0.500 0.500 0.249
3 Ag 0.500 0.500 0.751
4 Os 0.000 0.000 0.500

Output
Total magnetization in μB per formula unit: 0.00
ΔE_f in eV per atom: 0.8138

[2]
DFT (GGA-PBEsol) results for an optimized crystal structure of TcIr2Rh.

Unit cell a=4.677 b=4.677 c=4.667 alpha=99.46 beta=99.46 gamma=33.36
Element x y z (fractional)
1 Tc 0.000 0.000 0.000
2 Ir 0.252 0.252 0.753
3 Ir 0.503 0.503 0.501
4 Rh 0.750 0.750 0.249

Output
Total magnetization in μB per formula unit: 0.00
ΔE_f in eV per atom: -0.1102

[3]
DFT (GGA-PBEsol) results for an optimized crystal structure of YAsPb2.

Unit cell a=6.013 b=6.013 c=6.013 alpha=142.71 beta=128.86 gamma=64.98
Element x y z (fractional)
1 Y 0.000 0.000 0.000
2 As 0.219 0.719 0.500
3 Pb 0.462 0.462 0.000
4 Pb 0.732 0.232 0.500

Output
Total magnetization in μB per formula unit: 0.00
ΔE_f in eV per atom: -0.3640

[4]
DFT (GGA-PBEsol) results for an optimized crystal structure of CaB3As.

Unit cell a=4.556 b=4.556 c=4.556 alpha=90.00 beta=90.00 gamma=90.00
Element x y z (fractional)
1 Ca 0.000 0.000 0.000
2 B 0.000 0.000 0.500
3 B 0.000 0.500 0.000
4 B 0.500 0.000 0.000
5 As 0.500 0.500 0.500

Output
Total magnetization in μB per formula unit: 0.00
ΔE_f in eV per atom: 2.7389

[5]
DFT (GGA-PBEsol) results for an optimized crystal structure of MnBe3N.

Unit cell a=3.979 b=3.979 c=3.979 alpha=90.00 beta=90.00 gamma=90.00
Element x y z (fractional)
1 Mn 0.000 0.000 0.000
2 Be 0.000 0.000 0.500
3 Be 0.000 0.500 0.000
4 Be 0.500 0.000 0.000
5 N 0.500 0.500 0.500

Output
ΔE_f (raw) in eV/atom: 2.127
Total magnetization in μB per formula unit: 2.31

[6]
DFT (GGA-PBEsol) results for an optimized crystal structure of Y2AgP.

Unit cell a=5.995 b=5.995 c=5.995 alpha=142.90 beta=138.37 gamma=56.97
Element x y z (fractional)
1 Y 0.000 0.000 0.000
2 Y 0.736 0.236 0.500
3 Ag 0.272 0.772 0.500
4 P 0.465 0.465 0.000

Output
Total magnetization in μB per formula unit: 0.00
ΔE_f in eV per atom: -0.6478

[7]
DFT (GGA-PBEsol) results for an optimized crystal structure of Nd2Zn15Ge2.

Unit cell a=6.742 b=6.742 c=6.742 alpha=84.95 beta=84.95 gamma=84.95
Element x y z (fractional)
1 Nd 0.167 0.167 0.167
2 Nd 0.833 0.833 0.833
3 Zn 0.000 0.500 0.500
4 Zn 0.151 0.151 0.671
5 Zn 0.151 0.671 0.151
6 Zn 0.187 0.500 0.813
7 Zn 0.187 0.813 0.500
8 Zn 0.329 0.849 0.849
9 Zn 0.500 0.000 0.500
10 Zn 0.500 0.187 0.813
11 Zn 0.500 0.500 0.000
12 Zn 0.500 0.813 0.187
13 Zn 0.671 0.151 0.151
14 Zn 0.813 0.187 0.500
15 Zn 0.813 0.500 0.187
16 Zn 0.849 0.329 0.849
17 Zn 0.849 0.849 0.329
18 Ge 0.401 0.401 0.401
19 Ge 0.599 0.599 0.599

Output
Total magnetization in μB per formula unit: 0.00
ΔE_f in eV per atom: -0.2336

[8]
DFT (GGA-PBEsol) results for an optimized crystal structure of InSiSn3.

Unit cell a=5.183 b=5.183 c=5.183 alpha=90.00 beta=90.00 gamma=90.00
Element x y z (fractional)
1 In 0.000 0.000 0.000
2 Si 0.500 0.500 0.500
3 Sn 0.000 0.500 0.500
4 Sn 0.500 0.000 0.500
5 Sn 0.500 0.500 0.000

Output
ΔE_f (raw) in eV/atom: 0.420
Total magnetization in μB per formula unit: 0.00

[9]
DFT (GGA-PBEsol) results for an optimized crystal structure of Li3Mn2CuO6.

Unit cell a=6.779 b=6.779 c=5.687 alpha=101.22 beta=101.22 gamma=23.77
Element x y z (fractional)
1 Li 0.000 0.000 0.000
2 Li 0.330 0.330 0.654
3 Li 0.670 0.670 0.346
4 Mn 0.331 0.331 0.168
5 Mn 0.669 0.669 0.832
6 Cu 0.000 0.000 0.500
7 O 0.177 0.177 0.073
8 O 0.179 0.179 0.612
9 O 0.473 0.473 0.242
10 O 0.527 0.527 0.758
11 O 0.821 0.821 0.388
12 O 0.823 0.823 0.927

Output
ΔE_f (raw) in eV/atom: -1.674
Total magnetization in μB per formula unit: 4.87

[10]
DFT (GGA-PBEsol) results for an optimized crystal structure of KZr2Hg.

Unit cell a=3.062 b=5.501 c=5.884 alpha=90.00 beta=93.39 gamma=90.00
Element x y z (fractional)
1 K 0.000 0.000 0.000
2 Zr 0.266 0.500 0.707
+++
### Written answer
2 Ir 0.252 0.252 0.753
3 Ir 0.503 0.503 0.501
4 Rh 0.750 0.750 0.249

Output
Total magnetization in μB per formula unit: 0.00
ΔE_f in eV per atom: -0.1102

[3]
DFT (GGA-PBEsol) results for an optimized crystal structure of YAsPb2.

Unit cell a=6.013 b=6.013 c=6.013 alpha=142.71 beta=128.86 gamma=64.98
Element x y z (fractional)
1 Y 0.000 0.000 0.000
2 As 0.219 0.719 0.500
3 Pb 0.462 0.462 0.000
4 Pb 0.732 0.232 0.500

Output
Total magnetization in μB per formula unit: 0.00
ΔE_f in eV per atom: -0.3640

[4]
DFT (GGA-PBEsol) results for an optimized crystal structure of CaB3As.

Unit cell a=4.556 b=4.556 c=4.556 alpha=90.00 beta=90.00 gamma=90.00
Element x y z (fractional)
1 Ca 0.000 0.000 0.000
2 B 0.000 0.000 0.500
3 B 0.000 0.500 0.000
4 B 0.500 0.000 0.000
5 As 0.500 0.500 0.500

Output
Total magnetization in μB per formula unit: 0.00
ΔE_f in eV per atom: 2.7389

[5]
DFT (GGA-PBEsol) results for an optimized crystal structure of MnBe3N.

Unit cell a=3.979 b=3.979 c=3.979 alpha=90.00 beta=90.00 gamma=90.00
Element x y z (fractional)
1 Mn 0.000 0.000 0.000
2 Be 0.000 0.000 0.500
3 Be 0.000 0.500 0.000
4 Be 0.500 0.000 0.000
5 N 0.500 0.500 0.500

Output
ΔE_f (raw) in eV/atom: 2.127
Total magnetization in μB per formula unit: 2.31

[6]
DFT (GGA-PBEsol) results for an optimized crystal structure of Y2AgP.

Unit cell a=5.995 b=5.995 c=5.995 alpha=142.90 beta=138.37 gamma=56.97
Element x y z (fractional)
1 Y 0.000 0.000 0.000
2 Y 0.736 0.236 0.500
3 Ag 0.272 0.772 0.500
4 P 0.465 0.465 0.000

Output
Total magnetization in μB per formula unit: 0.00
ΔE_f in eV per atom: -0.6478

[7]
DFT (GGA-PBEsol) results for an optimized crystal structure of Nd2Zn15Ge2.

Unit cell a=6.742 b=6.742 c=6.742 alpha=84.95 beta=84.95 gamma=84.95
Element x y z (fractional)
1 Nd 0.167 0.167 0.167
2 Nd 0.833 0.833 0.833
3 Zn 0.000 0.500 0.500
4 Zn 0.151 0.151 0.671
5 Zn 0.151 0.671 0.151
6 Zn 0.187 0.500 0.813
7 Zn 0.187 0.813 0.500
8 Zn 0.329 0.849 0.849
9 Zn 0.500 0.000 0.500
10 Zn 0.500 0.187 0.813
11 Zn 0.500 0.500 0.000
12 Zn 0.500 0.813 0.187
13 Zn 0.671 0.151 0.151
14 Zn 0.813 0.187 0.500
15 Zn 0.813 0.500 0.187
16 Zn 0.849 0.329 0.849
17 Zn 0.849 0.849 0.329
18 Ge 0.401 0.401 0.401
19 Ge 0.599 0.599 0.599

Output
Total magnetization in μB per formula unit: 0.00
ΔE_f in eV per atom: -0.2336

[8]
DFT (GGA-PBEsol) results for an optimized crystal structure of InSiSn3.

Unit cell a=5.183 b=5.183 c=5.183 alpha=90.00 beta=90.00 gamma=90.00
Element x y z (fractional)
1 In 0.000 0.000 0.000
2 Si 0.500 0.500 0.500
3 Sn 0.000 0.500 0.500
4 Sn 0.500 0.000 0.500
5 Sn 0.500 0.500 0.000

Output
ΔE_f (raw) in eV/atom: 0.420
Total magnetization in μB per formula unit: 0.00

[9]
DFT (GGA-PBEsol) results for an optimized crystal structure of Li3Mn2CuO6.

Unit cell a=6.779 b=6.779 c=5.687 alpha=101.22 beta=101.22 gamma=23.77
Element x y z (fractional)
1 Li 0.000 0.000 0.000
2 Li 0.330 0.330 0.654
3 Li 0.670 0.670 0.346
4 Mn 0.331 0.331 0.168
5 Mn 0.669 0.669 0.832
6 Cu 0.000 0.000 0.500
7 O 0.177 0.177 0.073
8 O 0.179 0.179 0.612
9 O 0.473 0.473 0.242
10 O 0.527 0.527 0.758
11 O 0.821 0.821 0.388
12 O 0.823 0.823 0.927

Output
ΔE_f (raw) in eV/atom: -1.674
Total magnetization in μB per formula unit: 4.87

[10]
DFT (GGA-PBEsol) results for an optimized crystal structure of KZr2Hg.

Unit cell a=3.062 b=5.501 c=5.884 alpha=90.00 beta=93.39 gamma=90.00
Element x y z (fractional)
1 K 0.000 0.000 0.000
2 Zr 0.266 0.500 0.707